Against Socialism

Libertarians do a terrible job fighting against socialism, but the tragedy of it is that we think we’re winning. In the end, though, it’s impossible for us to win as long as we fail to understand our opponents, which is the key problem; libertarians devote so much time to fighting against Bernie Sanders and Kshama Sawant and their idiotic promises of free this and free that that we come to identify the "free stuff" mentality itself as the heart of the socialist ideology. Don’t get me wrong, now; Bernie is wrong, as any fule kno, and it’s important that we keep pointing that out, but smashing dopey politicians is playing the short game. The long battle is fought by the philosophers, and no serious Marxist philosopher bases his philosophy on a foundation of "rich people will pay back your student loans."

We libertarians are often fooled into believing that we can smash the socialists forever by pointing out that socialist economies are notoriously unproductive, and that a hundred million people starved to death under their reign in the last century. While that does pretty effectively blow up the bumper-sticker socialism of a Sanders or a Sawant, it should be noted that, as a philosopher, Bernie Sanders makes a great long-distance runner, while "Kshama Sawant" is a Hindi phrase meaning "intellectual lightweight." Just because those two goobers have literally no comeback at all when faced with the obvious failures of real-world socialism doesn’t mean that the serious thinkers haven’t considered the problem. They have — and the answer they’ve come to is so far afield of what libertarians are used to dealing with that we basically don’t even realize it’s there.


There is a huge contradiction in the witness' testimony!

What Do Words Mean Anyhow?

The Adam Smith Institute’s Tim Worstall claims to be one of the world’s foremost experts on scandium. Whether or not this is true I am ill-equipped to say, as I know almost exactly nothing about scandium. I assume they use it to make scanners, and I was figuring it was probably from Sweden, but then I realized I was confusing it with Scandinavium, a similar metal so heavy that Iron Maiden’s played there nine times. Anyhow, the point is: I don’t know anything about scandium, and I freely concede, in advance, any arguments about scandium I ever get into against Tim Worstall, who knows much more about scandium than he does about socialism. Sadly, it’s the latter he’s chosen to write about today, in an utterly bizarre article nominally about the mining strikes in Bolivia.

If you haven’t been following the Bolivian mining strikes, they’ve now escalated to the point where Deputy Minister of Internal Affairs Rodolfo Illanes was recently kidnapped, tortured, and murdered by the strikers. Our friend Tim Worstall would have us believe that the strikers are protesting against socialism, but is that really the case? We’ll explore that very soon, but before we dive into the pièce de résistance, we need to whet our appetites with this lovely little amuse-bouche of stupidity:

Around here we usually make fun of Bolivarian socialism by reference to the idiocies which Nicolas Maduro has been imposing upon the people of Venezuela. They do, after all, call their system "Bolivarian socialism." Across the continent, in Bolivia, we also have a closely related Bolivian socialism. Evo Morales has often said that he takes inspiration from Hugo Chavez, and that the system he is using in Bolivia is similar. So, Bolivarian socialism in Bolivia then. Umm, perhaps both Bolivian and Bolivarian socialism?

Why yes, those do sound rather similar! What an astonishing coincidence! On a related note, I’ve always found it weird how similar the titles of Superman and Superman II are. What do you suppose were the odds that would just happen by chance, as it so obviously did? The universe is a mysterious place, my friends!

## Calculated molecules, kept here for reference
~~~
# 1
# CH4N3

The ion CH4N3 with charge +1 (ωB97M-V/def2-TZVPD, OMol25).

Geometry as ORCA input:
```
! RIJCOSX wB97M-V def2-TZVPD def2/J DEFGRID3
* xyz 1 1
N 0.41 -1.24 -0.38
C -0.06 -0.08 -0.05
N -0.16 1.28 -0.47
N -0.42 0.77 0.92
H 0.36 -1.69 -1.41
H 0.71 -1.82 0.35
H -0.96 1.75 -0.83
H 0.10 1.02 1.87
*
```

relative energy (zero: lowest compared OMol25 entry of this formula, charge and spin): 74.8 kcal/mol
E_HOMO: -0.577 Eh
LUMO level: -0.1788 Ha
HOMO-LUMO gap: 10.825 eV
SMILES: [NH2+]=C1NN1

=====

# 2
# CH4N3O2

A cluster of 2 separate species, CH4N3O2 in total (ωB97M-V/def2-TZVPD, OMol25).

Geometry as ORCA input:
```
! RIJCOSX wB97M-V def2-TZVPD def2/J DEFGRID3
* xyz 1 1
C 0.45 0.05 -1.32
N -0.58 0.35 1.87
N 0.52 1.21 -1.66
N 0.46 -1.18 -1.06
O 0.21 -0.52 1.57
O -0.88 1.26 1.16
H -1.08 0.22 2.89
H 0.13 2.17 -1.62
H 0.53 -1.62 -0.08
H 0.24 -1.92 -1.74
*
```

relative energy (zero: lowest compared OMol25 entry of this formula, charge and spin): 27.2 kcal/mol
E_HOMO: -0.597 Eh
LUMO level: -0.1675 Ha
HOMO-LUMO gap: 11.674 eV

=====

# 3
# CH4N3O2

The ion CH4N3O2 with charge +1 (ωB97M-V/def2-TZVPD, OMol25).

Geometry as ORCA input:
```
! RIJCOSX wB97M-V def2-TZVPD def2/J DEFGRID3
* xyz 1 1
N -0.68 1.21 -0.10
C -0.13 0.01 -0.16
N -0.69 -1.19 0.06
N 1.40 -0.04 -0.10
O 1.94 1.02 -0.04
O 1.87 -1.20 0.01
H -1.76 1.42 -0.11
H -0.23 2.11 0.04
H -1.74 -1.36 0.28
H 0.03 -1.98 0.11
*
```

relative energy (zero: lowest compared OMol25 entry of this formula, charge and spin): 11.0 kcal/mol
E_HOMO: -0.617 Eh
LUMO level: -0.2353 Ha
HOMO-LUMO gap: 10.378 eV
SMILES: NC(=[NH2+])[N+](=O)[O-]

=====

# 4
# CH4N3O2

A cluster of 2 separate species, CH4N3O2 in total (ωB97M-V/def2-TZVPD, OMol25).

Geometry as ORCA input:
```
! RIJCOSX wB97M-V def2-TZVPD def2/J DEFGRID3
* xyz 1 1
C 0.32 0.62 -0.23
N -0.30 1.36 0.48
N 1.16 0.55 -1.25
N -0.93 -0.94 -0.06
O -1.05 1.85 1.26
O -0.21 -1.79 0.62
H 1.90 1.23 -1.36
H 1.45 -0.39 -1.53
H -1.87 -0.60 0.51
H -0.49 -1.87 1.57
*
```

relative energy (zero: lowest compared OMol25 entry of this formula, charge and spin): 105.4 kcal/mol
E_HOMO (spin up / spin down): -0.538 / -0.532 Eh
LUMO level (spin up / spin down): -0.2534 / -0.2680 Ha
HOMO-LUMO gap (spin up / spin down): 7.743 / 7.176 eV

=====

# 5
# CH4N3P

The molecule CH4N3P (ωB97M-V/def2-TZVPD, OMol25).

Geometry as ORCA input:
```
! RIJCOSX wB97M-V def2-TZVPD def2/J DEFGRID3
* xyz 0 1
C 0.70 -0.90 1.05
N 0.70 0.33 0.76
N -0.20 0.77 -0.15
P -1.37 -0.07 -1.16
N -1.22 -1.51 -1.31
H 0.03 -1.60 0.62
H 1.56 -1.20 1.62
H -0.17 1.79 -0.27
H -2.05 1.10 -1.76
*
```

relative energy (zero: lowest compared OMol25 entry of this formula, charge and spin): 89.4 kcal/mol
E_HOMO: -0.344 Eh
LUMO level: -0.0032 Ha
HOMO-LUMO gap: 9.261 eV
SMILES: C=NN[PH]#N

=====

# 6
# CH4N3P

A structure of composition CH4N3P (ωB97M-V/def2-TZVPD, OMol25).

Geometry as ORCA input:
```
! RIJCOSX wB97M-V def2-TZVPD def2/J DEFGRID3
* xyz 0 3
C -0.27 1.06 0.23
N 0.92 0.62 0.90
N 1.36 -0.42 0.50
~~~


"The Problem With SoCalism," on the other hand, is a book about... oh, the same thing.

Book Review: The Problem With Socialism

Dr. Thomas J. DiLorenzo’s new book, The Problem With Socialism, hardly could have come at a better time; the socialist fever is riding high in the United States, with demagogues like Vermont senator Bernie Sanders selling the idea that ancient, discredited economic philosophies are somehow the wave of the future, while simultaneously telling people that the failed government economic planning that has dominated most of our lifetimes is somehow a function of "capitalism." Those of us who value the truth are always in need of new weapons in our arsenal, and this book is a valuable addition.

The Problem With Socialism is a short book, clearly designed for a popular and not a scholarly audience — if you’re looking for a deep philosophical disquisition about the flaws and failures inherent in socialism, Ludwig von Mises’ 1922 classic Socialism remains the gold standard in the field. The Mises book, of course, is six hundred pages long and dense in the way that only German philosophy can be, and requires days if not weeks of study to comprehend, making it unsuitable for people who want a quick introduction to the field, or for giving to one’s friends or children who have become "socialism-curious;" they’ll simply never read it. DiLorenzo’s book, on the other hand, is admirably suited to the task, fluidly written, easily readable in one setting and accessible enough that even a socialist could understand it.


Why Socialism Is Impossible

What comes next are calculated molecules, not part of the article.
____________
Record 1
Density functional theory data (wB97M-V/def2-TZVPD) for a 3-piece molecular cluster, C4H14N2OS overall.

Calculated values
Orbital gap, eV: 5.284
Relative energy (zero: lowest compared OMol25 entry of this formula, charge and spin), kcal/mol: 116.5
Energy, eV: -20232.9760
Net charge: 0

Last column: Löwdin charge in e.
Atoms and positions in Å:
N 0.23496 -0.93515 0.04014  0.01
C 0.42039 0.59836 0.04480  -0.36
C 1.40637 1.07127 1.13502  -0.07
S 3.73056 -0.18250 -0.35765  0.18
C -1.09329 0.97350 0.36154  -0.16
N -2.03068 0.68296 -0.88451  -0.11
C -3.50913 0.47989 -0.61010  -0.13
H 1.02876 -1.24484 0.61938  0.06
H 0.58934 -1.22909 -0.85692  0.07
H 0.59913 0.99214 -0.94576  0.12
H 1.15511 0.57986 2.08928  0.11
H 1.55660 2.11484 1.25883  0.08
H 2.37751 0.65291 0.87530  -0.14
H -1.74720 0.56319 1.08792  0.08
H -1.03754 2.06912 0.61415  0.11
H -2.01224 1.47178 -1.50874  0.07
H -3.54562 -0.28615 0.16337  0.04
H -4.06526 1.36174 -0.19880  0.08
H -4.01583 0.10702 -1.47662  0.06
H -1.37441 -1.66502 0.14608  -0.02
H -2.09301 -2.97107 0.73188  0.02
O -2.23504 -2.07116 0.43077  -0.11

Record 2
Density functional theory data (wB97M-V/def2-TZVPD) for one molecule with the formula C16H13BrN2O4.

Calculated values
Orbital gap, eV: 7.699
Relative energy (zero: lowest compared OMol25 entry of this formula, charge and spin), kcal/mol: 245.8
Energy, eV: -98005.4559
Net charge: 0
Structure (SMILES): COCCn1cc(C(=O)c2cc(Br)ccc2O)cc(C#N)c1=O

Last column: Löwdin charge in e.
Atoms and positions in Å:
C 0.65608 -3.01941 0.54799  -0.07
H 0.48788 -4.09036 0.46802  0.09
O -0.13387 -2.18546 -0.35602  -0.20
C -1.58439 -2.39123 0.05153  -0.17
C -1.96540 -1.61923 1.10994  -0.16
N -1.98794 -0.13670 0.91914  0.00
C -0.83317 0.39848 0.82605  0.11
C -0.63870 1.82933 0.06711  -0.05
C -1.85003 2.58111 -0.11210  0.00
C -2.98090 1.93618 0.18346  -0.04
C -4.26505 2.91789 -0.00699  -0.13
N -5.26001 3.43051 -0.30820  0.11
C -3.13996 0.41932 0.50668  -0.45
O -4.18285 0.08803 0.81522  0.16
H -1.72328 3.56378 -0.47963  0.12
C 0.63200 2.38002 0.03376  -0.48
O 0.92705 3.44502 -0.00786  0.22
C 1.75897 1.39353 -0.32784  -0.06
C 3.16070 1.78778 0.06438  -0.07
C 4.06131 0.84735 -0.00557  -0.65
C 3.85023 -0.31482 -1.01985  -0.06
C 2.53801 -0.42994 -1.34208  -0.12
C 1.58980 0.45805 -1.19840  -0.40
O 0.32745 0.21952 -1.66553  -0.01
H 0.35550 -0.51549 -2.52928  0.24
H 2.58618 -1.35461 -2.15536  0.18
H 4.72080 -1.17777 -1.12158  0.16
Br 5.83826 1.26887 0.62104  0.67
H 3.12375 2.51466 0.86135  0.12
H 0.15854 -0.11242 0.96371  0.16
H -3.00723 -1.53466 1.52406  0.16
H -1.34160 -1.63762 1.97305  0.13
H -2.20058 -2.01642 -0.76939  0.14
H -1.91932 -3.52048 0.31938  0.19
H 0.61200 -2.72590 1.50082  0.03
H 1.62978 -2.69692 0.04898  0.11

Record 3
Density functional theory data (wB97M-V/def2-TZVPD) for a 9-piece molecular cluster, C9H26Cl2N8O16 overall.

Calculated values
Orbital gap, eV: 10.511
Relative energy (zero: lowest compared OMol25 entry of this formula, charge and spin), kcal/mol: 0.0
____________

Libertarians traditionally do a terrible job of explaining why socialism can’t work. Which is to say: we’re great at explaining it to other libertarians, but we think we can talk to our Bernie Sanders-supporter friends the same way. If you’re talking to someone who doesn’t already understand the problem, and you just say something like "in a socialist environment there can’t be market prices," you have to realize that person will think that’s a feature, not a bug. Most of us libertarians know about the socialist calculation problem, but to the wider audience it’s pretty esoteric stuff; it’s not just plainly intuitive to most people that the absence of market prices causes discoördination in production. Either way, it seems like ultimately you have some guy deciding what products, and how many, to make. Can’t we just put those successful entrepreneurs — the Bill Gateses and Jeff Bezoses of the world — in charge of the planning boards and have it work just fine?

This, of course, is where libertarians tend to fall down. We’re great at extolling the virtues of the entrepreneur, but, in a very significant sense, we miss the most important element: what’s critical about entrepreneurs is not that they make amazing, successful things, but that they’re able to fail in a controlled manner. When a product fails on the market, only the entrepreneur and those closely connected to him suffer, which is important for two reasons: first because it means that random people, uninvolved with the failed project, don’t have to bear the cost of the failure, and second because, by concentrating that cost on the people responsible, the failure is made immediately apparent, and the pressure to cease failing is substantial. Amazon’s Fire Phone, by all accounts, was a neat piece of technology, but nobody cared enough to buy one, and Amazon cut it loose after a few months of disappointing performance. Microsoft’s Windows 8 suffered a similar poor reception, which encouraged the company to proceed in a new direction (and quite swiftly!) with its replacement. While the successes are, of course, the ultimate goal of the market economy — the production of goods and services people want — the only thing that makes those successes possible is the market’s robust failure mechanism. When governments attempt to "soften the blow" of failure by socializing the losses, that not only creates a massive injustice (as innocent people unconnected to the failure are now forced to pay for it), but it also encourages businesses to linger in failed products and failed practices longer than they should.


Nasty, big, pointy teeth!

Presidential Rankings #23: Jimmy Carter

We cannot resort to simplistic or extreme solutions which substitute myths for common sense.

Whatever else one has to say about the presidency of James Earl Carter Jr., one must admit that he was not a warmonger. A technocrat, yes; a utopian socialist, probably; a warmonger, no. The Carter presidency brought the United States as close as it has been to peace since the days of Herbert Hoover; sadly, with the cold war still raging and the Iranian people overthrowing the American puppet Shah, president Carter would find himself dragged into foreign entanglements all the same. Still and all, it was something close to peace, and that’s not nothing.

Here the entry breaks off for data records:
/*
# 1
The following is a DFT calculation (ωB97M-V/def2-TZVPD) of a 11-piece molecular cluster, C78H170N8O11 overall.

E (eV): -118074.2319
SMILES: CC1(C)CCCC(C)(C)N1O.CC1(C)CCCC(C)(C)N1O.CC1(C)CCCC(C)(C)N1O.CC1(C)CCCC(C)(C)N1O.CC1(C)CCCC(C)(C)N1O.CC1(C)CCCC(C)(C)N1O.CC1(C)CCCC(C)(C)N1O.CC1(C)CCCC(C)(C)N1O.CCO.CCO.CCO
Kohn-Sham gap (Eh): 0.3208
HOMO energy (eV): -8.293

Structure (ORCA input):
```
! wB97M-V def2-TZVPD RIJCOSX def2/J DEFGRID3
* xyz 0 1
C -3.21518 -3.60508 -5.09590
C -2.70477 -4.99423 -4.62317
C -2.02376 -4.91066 -3.25668
C -2.95367 -4.70661 -2.03765
C -3.91508 -5.84512 -2.19587
C -4.69039 -6.04350 -3.52872
N -3.72835 -6.06868 -4.64044
O -4.45807 -6.12246 -5.90167
C -5.41717 -7.35347 -3.52418
C -5.83691 -4.96735 -3.67530
C -1.58891 -5.43479 -5.57848
H -3.64397 -3.04509 -4.25519
H -4.02366 -3.61421 -5.86548
H -2.43318 -2.99169 -5.53815
H -1.48255 -5.86585 -3.13989
H -1.22384 -4.20371 -3.34026
H -3.44085 -3.74715 -2.22150
H -2.44162 -4.69762 -1.07519
H -4.65419 -5.91333 -1.40873
H -3.23778 -6.73336 -2.07941
H -5.86744 -7.51180 -4.43789
H -4.63215 -8.10181 -3.43484
H -6.12861 -7.28635 -2.69873
H -6.57297 -5.30653 -2.96591
H -5.70493 -3.86748 -3.50588
H -6.24292 -5.17726 -4.65782
H -0.69374 -4.86708 -5.47653
H -1.92321 -5.41491 -6.64368
H -1.34211 -6.47325 -5.35906
H -4.96416 -5.29401 -5.95452
C -6.56522 0.52571 1.89391
C -5.60502 -0.64678 1.43257
C -6.26290 -2.04842 1.59455
C -7.29076 -2.37646 0.50598
C -6.63179 -2.27577 -0.80943
C -6.02039 -0.84658 -1.14913
N -5.20544 -0.52205 0.03133
O -4.47444 0.73945 -0.12090
C -5.18145 -1.00820 -2.38207
C -7.11385 0.20500 -1.48686
C -4.37209 -0.67165 2.29402
H -6.13669 1.45535 1.39843
H -6.57004 0.67686 2.95835
H -7.61387 0.30611 1.61714
H -5.47664 -2.80476 1.61257
H -6.74261 -1.92625 2.62747
H -8.17272 -1.72462 0.58148
H -7.62901 -3.41575 0.69643
H -7.12840 -2.71887 -1.64025
H -5.78901 -3.00711 -0.74075
H -4.74434 -0.07171 -2.65602
H -4.25746 -1.56690 -2.21191
H -5.85073 -1.41026 -3.14613
H -7.39316 -0.11665 -2.47818
H -7.93054 0.16057 -0.75760
H -6.68056 1.16159 -1.56392
H -3.71840 0.25586 2.30841
H -3.63690 -1.46767 2.03335
H -4.63134 -0.73530 3.36463
H -3.75119 0.44920 -0.63284
C -1.82011 2.69786 4.53022
C -2.50919 3.82326 3.80576
C -3.49766 3.29413 2.70450
C -4.26955 4.37671 1.96046
C -5.12747 5.11083 2.94516
C -4.36293 5.61555 4.18969
N -3.40951 4.59381 4.71461
O -2.60614 5.23033 5.74607
C -3.72828 7.04625 3.88846
C -5.45059 5.80139 5.36897
C -1.42071 4.74013 3.10711
H -1.46747 1.94795 3.81109
H -2.54565 2.21154 5.18467
H -1.01198 3.06288 5.13148
H -2.89864 2.72986 2.01420
H -4.11148 2.45886 3.09661
H -4.78942 3.93556 1.16648
H -3.58690 5.11684 1.47718
H -5.93215 4.41689 3.15843
H -5.46295 6.02840 2.52786
H -2.79736 7.18256 4.46959
H -3.47366 7.16879 2.80591
H -4.44326 7.84045 4.20814
H -6.23504 6.40602 4.93326
H -5.75816 4.78063 5.67226
H -5.12438 6.26250 6.32640
H -0.83567 4.17365 2.37619
H -0.88044 5.00752 4.01849
H -1.73315 5.59302 2.55248
H -3.00417 4.78747 6.52070
*/
So much for the data records:

President Carter had the good fortune to be the first president since World War II not to inherit any military boondoggles in the far east. This was, in fact, part of the reason he won the election of 1976; as a relative unknown with no nationwide name recognition, he was at a steep disadvantage running against a sitting president during the bicentennial. However, the Carter campaign nimbly took advantage of president Ford’s two main areas of weakness: Watergate and Vietnam. As an outsider, Carter sold himself to the American people as a "reform" candidate who wasn’t enmeshed in any of the national political scandals, as against president Ford, who was still suffering from issuing the Nixon pardon two years prior. He was also able to tar Ford with the eventual final disgrace in Vietnam. In other words: Jimmy Carter ran on a "hope and change" ticket, spinning his inexperience and remoteness as a positive.
